
Leadership is a hot topic right now—and one that is often mired in controversy.
We’ve seen the TikTok horror stories about ineffectual management and toxic bosses, read the articles about egomaniacal CEOs with bad interpersonal skills who set unrealistic, burnout-inducing expectations for their employees, and have seen the effects that bad leadership and toxic cultures have on workers.
Many have cited poor leadership and toxic workplace cultures during the COVID-19 pandemic as the main contributing factors driving the Great Resignation. There are a lot of ways we can combat this in the future, but one of the most important things we can do to prevent more Great Resignations in the future is to develop great leaders now.
A leader’s goal is to help their teams achieve great things. By developing leaders who can build authentic connections with workers and maintain harmonious environments for them to work in, we ensure we are engaging and retaining talented employees who do great work.
Whether you’re a new leader or a seasoned leader with years of experience under your belt, there’s always room for improvement. Great leaders can become even better leaders when they continuously hone their skills.
Great leadership abilities aren’t necessarily something a person is born with, though a natural ability to lead can make it easier for a leader to succeed. For those of us who weren’t born leaders, leadership development may be more of a journey, where we grow from one stage to the next.
[The page is interrupted by data records]
=====
# Dy2MgS4 (meta-GGA r2SCAN, relaxed)
# **Final energy**: -16.481 eV per atom
# **ΔH_f (0 K)**: -2157 meV/atom
data_Dy2MgS4
_chemical_formula_sum 'Dy8 Mg4 S16'
_space_group_name_H-M_alt 'P n m a'
_space_group_IT_number 62
_space_group_name_Hall '-P 2ac 2n'
_cell_length_a 13.4287
_cell_length_b 7.8672
_cell_length_c 6.5053
_cell_angle_alpha 90.00
_cell_angle_beta 90.00
_cell_angle_gamma 90.00
loop_
_atom_site_label
_atom_site_fract_x
_atom_site_fract_y
_atom_site_fract_z
Dy1 0.0000 0.0000 0.0000
Dy2 0.2310 0.2500 0.4905
Mg1 0.0967 0.7500 0.4186
S1 0.0696 0.2500 0.7439
S2 0.0900 0.7500 0.7854
S3 0.1707 0.5094 0.2348

~~~~~

(1)
Computed, not measured: a relaxed structure of Na2AgAsBr6 at the PBE-GGA level of DFT.

Properties
- total energy after the MP2020 corrections (eV/atom) = -3.0613
- uncorrected energy (eV/atom) = -2.7409
- calculated formation energy (eV/atom) = -1.0655
- magnetic moment (μB/cell) = 0.0
- crystal system = cubic

Geometry as CIF:
```
data_Na2AgAsBr6
_chemical_formula_sum 'Na8 Ag4 As4 Br24'
_symmetry_space_group_name_H-M 'F m -3 m'
_symmetry_Int_Tables_number 225
_symmetry_space_group_name_Hall '-F 4 2 3'
_cell_length_a 10.8693
_cell_length_b 10.8693
_cell_length_c 10.8693
_cell_angle_alpha 90.00
_cell_angle_beta 90.00
_cell_angle_gamma 90.00
loop_
_atom_site_label
_atom_site_type_symbol
_atom_site_fract_x
_atom_site_fract_y
_atom_site_fract_z
Na1 Na 0.2500 0.2500 0.2500
Ag1 Ag 0.0000 0.0000 0.0000
As1 As 0.0000 0.0000 0.5000
Br1 Br 0.0000 0.0000 0.2556
```

(2)
Computed, not measured: a relaxed structure of Rb2AgAsBr6 at the PBE-GGA level of DFT.

Properties
- total energy after the MP2020 corrections (eV/atom) = -3.2192
- uncorrected energy (eV/atom) = -2.8988
- calculated formation energy (eV/atom) = -1.2917
- magnetic moment (μB/cell) = 0.0
- crystal system = cubic

Geometry as CIF:
```
data_Rb2AgAsBr6
_chemical_formula_sum 'Rb8 Ag4 As4 Br24'
_symmetry_space_group_name_H-M 'F m -3 m'
_symmetry_Int_Tables_number 225
_symmetry_space_group_name_Hall '-F 4 2 3'
_cell_length_a 11.0222
_cell_length_b 11.0222
_cell_length_c 11.0222
_cell_angle_alpha 90.00
_cell_angle_beta 90.00
_cell_angle_gamma 90.00
loop_
_atom_site_label
_atom_site_type_symbol
_atom_site_fract_x
_atom_site_fract_y
_atom_site_fract_z
Rb1 Rb 0.2500 0.2500 0.2500
Ag1 Ag 0.0000 0.0000 0.0000
As1 As 0.0000 0.0000 0.5000
Br1 Br 0.0000 0.0000 0.2568
```

(3)
Computed, not measured: a relaxed structure of CaAgAs at the PBE-GGA level of DFT.

Properties
- uncorrected energy (eV/atom) = -3.9549
- calculated formation energy (eV/atom) = -0.7891
- crystal system = hexagonal

Geometry as CIF:
```
data_CaAgAs
_chemical_formula_sum 'Ca3 Ag3 As3'
_symmetry_space_group_name_H-M 'P -6 2 m'
_symmetry_Int_Tables_number 189
_symmetry_space_group_name_Hall 'P -6 -2'
_cell_length_a 7.2663
_cell_length_b 7.2663
_cell_length_c 4.3127
_cell_angle_alpha 90.00
_cell_angle_beta 90.00
_cell_angle_gamma 120.00
loop_
_atom_site_label
_atom_site_type_symbol
_atom_site_fract_x
=====
There are five distinct stages, or levels, of leadership development according to author and leadership expert John Maxwell. Maxwell first presented his leadership paradigm in Developing the Leader Within You and expanded it in his book The 5 Levels of Leadership.
The five levels of leadership are position, permission, production, people development, and pinnacle. Leaders develop skills, build confidence, grow influence, and achieve mastery at each level before moving to the next. This scale provides a framework for leaders and their teams to reach their full potential.
== Unrelated to this text: data records ==
- - -
Record 1
Ge2MoO6: relaxed, GGA+U.

The structure in POSCAR format:
```
Ge2MoO6
1.0
5.073 -4.554 0.000
5.073 4.554 0.000
-1.657 0.000 5.426
Ge Mo O
4 2 12
direct
0.115 0.290 0.261
0.290 0.115 0.761
0.710 0.885 0.239
0.885 0.710 0.739
0.404 0.596 0.750
0.596 0.404 0.250
0.114 0.165 0.501
0.128 0.599 0.810
0.165 0.114 0.001
0.315 0.461 0.365
0.401 0.872 0.690
0.461 0.315 0.865
0.539 0.685 0.135
0.599 0.128 0.310
0.685 0.539 0.635
0.835 0.886 0.999
0.872 0.401 0.190
0.886 0.835 0.499
```

## Properties
ΔE to the lowest computed polymorph ... 0.000 eV per atom
Symmetry ... C2/c, No. 15
Size of the total moment ... 2.00 μB per formula unit
Calculated formation energy ... -1.999 eV/atom

Record 2
Ge3Mo2O12: relaxed, GGA+U.

The structure in POSCAR format:
```
Ge3Mo2O12
1.0
-6.194 6.194 6.194
6.194 -6.194 6.194
6.194 6.194 -6.194
Ge Mo O
12 8 48
direct
0.125 0.750 0.875
0.125 0.875 0.250
0.250 0.125 0.875
0.250 0.625 0.375
0.375 0.250 0.625
0.375 0.625 0.750
0.625 0.375 0.250
0.625 0.750 0.375
0.750 0.375 0.625
0.750 0.875 0.125
0.875 0.125 0.750
0.875 0.250 0.125
0.000 0.000 0.000
0.000 0.000 0.500
0.000 0.500 0.000
0.000 0.500 0.500
0.500 0.000 0.000
0.500 0.000 0.500
0.500 0.500 0.000
0.500 0.500 0.500
0.006 0.189 0.109
0.006 0.317 0.897
0.080 0.689 0.683
0.080 0.891 0.397
0.103 0.609 0.420
0.103 0.994 0.683
0.109 0.006 0.189
0.109 0.603 0.920
0.183 0.189 0.580
0.183 0.494 0.603
0.189 0.109 0.006
0.189 0.580 0.183
0.311 0.317 0.920
0.311 0.494 0.391
0.317 0.897 0.006
0.317 0.920 0.311
0.391 0.311 0.494
0.391 0.580 0.897
0.397 0.080 0.891
0.397 0.817 0.506
0.420 0.103 0.609
0.420 0.817 0.811
0.494 0.391 0.311
0.494 0.603 0.183
0.506 0.397 0.817
0.506 0.609 0.689
0.580 0.183 0.189
0.580 0.897 0.391
0.603 0.183 0.494
0.603 0.920 0.109
0.609 0.420 0.103
0.609 0.689 0.506
0.683 0.080 0.689
0.683 0.103 0.994
0.689 0.506 0.609
0.689 0.683 0.080
0.811 0.420 0.817
0.811 0.891 0.994
0.817 0.506 0.397
0.817 0.811 0.420
0.891 0.397 0.080
0.891 0.994 0.811
0.897 0.006 0.317
0.897 0.391 0.580
0.920 0.109 0.603
0.920 0.311 0.317
0.994 0.683 0.103
0.994 0.811 0.891
```

## Properties
Symmetry ... Ia-3d, No. 230
Size of the total moment ... 0.00 μB per formula unit
Calculated formation energy ... -1.872 eV/atom

For reference, theoretical density by record: 4.5; 4.2 g/cm³.
For reference, E_tot by record: -120.888; -448.447 eV per cell.

~~~~~

Arrangement one

The following is a PBE calculation of a relaxed structure of MgGa4Cu2O8, from the Materials Project.

Structure (CIF):
```
data_MgGa4Cu2O8
_chemical_formula_sum 'Mg2 Ga8 Cu4 O16'
_cell_length_a 10.2888
_cell_length_b 6.0199
_cell_length_c 6.0792
_cell_angle_alpha 90.00
_cell_angle_beta 120.13
_cell_angle_gamma 90.00
_symmetry_space_group_name_H-M 'C 1 2/m 1'
_symmetry_Int_Tables_number 12
_symmetry_space_group_name_Hall '-C 2y'
loop_
_atom_site_label
_atom_site_fract_x
_atom_site_fract_y
_atom_site_fract_z
_atom_site_occupancy
Mg1 0.0000 0.0000 0.0000 1
Ga1 0.1295 0.0000 0.4595 1
Ga2 0.2500 0.2500 0.0000 1
- - -
In this article, we’ll explore each of these five levels of leadership as outlined by Maxwell and how they help leaders to build confidence and lead their teams to greatness.

The Five Levels of Leadership
The five levels of leadership are position, permission, production, people development, and pinnacle. Each level builds on the previous level.
Another way to refer to this scale is “the 5 Rs,” with each level being defined by the goals a leader should aim to meet as they grow and move from one level to the next. The 5 Rs are rights, relationships, results, reproduction, and respect.
- Level 1: Position
Rights – People follow a leader because they have to.
- Level 2: Permission
Relationships – People follow a leader because they want to.
- Level 3: Production
Results – People follow a leader because of what the leader has done for the organization.
- Level 4: People Development
Reproduction – People follow a leader because of what they’ve done for them.
- Level 5: Pinnacle
Respect – People follow a leader because of who they are and what they represent.
Each level focuses on a different aspect of great leadership, but all are defined mainly by how leaders continue to build their influence with their followers at each level as they progress through their careers.
Now we’ll take a closer look at each of these levels of leadership.
Level 1: Position
Rights – People follow a leader because they have to.
Position is the lowest level of leadership. At this level, people will only follow a leader because they have to.
This level of leadership is transactional, with a heavy emphasis on organization, regulations, policies, and rules to motivate followers. It relies on authority as leaders at this level have not built influence outside of authority.
Anyone who is in a supervisory position can be on this leadership level. At this level, you are a boss, a supervisor, or a manager, but you are not yet a fully-developed leader. You are still building credibility with your followers, who are likely still more employees and subordinates at this point than team members.
To move yourself and your team beyond this level requires setting clear priorities, clearly articulating expectations, and building trusting relationships with employees.
Maxwell says Level 1 leaders may find it challenging to set clear priorities, but mastering this skill is what helps you gain the trust of your team as a leader. It not only helps a leader build engagement with employees, it will be conducive to successful future collaborative efforts and an authentic spirit of camaraderie on the team.
To build rapport with subordinates and move to the next level, Level 1 leaders need to work on their soft skills. Developing emotional intelligence will help you become a self-aware leader who can understand and empathize with your employees.
Level 2: Permission
Relationships – People follow a leader because they want to.
At Level 2, relationships are forged, and people give leaders the permission to lead them. For leaders to grow at this level, they should work on building connections with their people.
Leaders who move to this level are able to move beyond compliance and positional authority. This is the first step toward true leadership, and it is characterized by a significant shift in influence.
This can positively shape the employee experience and create a harmonious work environment where employees are engaged in the work they do and invested in helping to achieve the organization’s success. Under Level 2 leadership, employees will see themselves as instrumental in that success and tie their own success to the organization’s success.
This level is so important, especially for the servant leader, who seeks to lead through persuasion. Persuading your team to follow you because they want to and believe in your leadership abilities is the key to helping them achieve great things.
Leaders at this level are aware of the potential impacts of their decisions. Treating employees with respect and making them feel valued helps leaders forge trust-based relationships with employees and develop positive influence with them. This lays the foundation for the next level.
Creating supportive, inclusive environments where team members feel valued, fostering accountability and transparency, supporting successful collaborative efforts, and getting cultural buy-in from employees helps leaders level up and paves the way for a high-performance culture that produces real results.
Level 3: Production
Results – People follow a leader because of what the leader has done for the organization.
By this point, leaders have built a track record with employees, and, because of the influence leaders have established at this level, they will start to see results.
Level 3 leaders have the potential to transform into change agents. These leaders inspire high performance, good morale, and increased profits and have learned to deal with tough issues with tact and diplomacy.
Leaders at this level aren’t just productive, they help others be productive. Producing results is key to mastering this level, and these leaders are pros at setting and meeting goals that grow the organization and contribute to its profitability.
Level 3 leaders thrive on feedback, encourage employees to be a part of the decision-making process, and help employees identify ways to produce great results.

Level 4: People Development
Reproduction – People follow a leader because of what they’ve done for them.
Productivity is an important part of Level 4 leadership as well, but these leaders move beyond production to development. Level 4 shifts the emphasis from productive leadership to developing others, with the goal of investing in and growing more leaders.
Maxwell explains this level: “When there are more leaders, more of the organization’s mission can be accomplished. The people you choose to develop may show great potential for leadership, or they may be diamonds in the rough, but the main idea is the same: When you invest in them, you can reproduce yourself.”
These leaders recognize their team members are the organization’s best asset and make investing in leaders their top priority. Growth for leaders at this level means growing and inspiring new leaders, which reinforces the influence a leader has with their followers.
To master this level, a leader should provide a high degree of clarity, regularly communicate their expectations to employees, help them course correct when needed, help them achieve their goals, and guide them toward honing their own leadership skills.
Some ways leaders do this is through mentoring, coaching, providing learning and development opportunities, and offering career pathing to help them move into leadership roles.
Level 5: Pinnacle
Respect – People follow a leader because of who they are and what they represent.
Getting to this level can be a challenge. It requires a true commitment, intentionality, and the long-term investment of time and effort. A Level 5 leader commits their lives to investing in others.
This level is transformational. It is defined by its potential to shape organizations, teams, and even industries, well into the future. At this level, a leader’s influence extends beyond the organization, even beyond the industry they work in and represent.
According to Maxwell, Level 5 leaders develop Level 5 organizations and create opportunities that make them stand out from the pack. They also create strong legacies that will live on and continue to shape the lives of others.
Leaders who reach this level will have a successful track record of building high-performance teams that produce innovative results. They give their teams the tools they need to work autonomously and always lead by example.
Not all leaders reach this level, but it should be the level leaders always strive to achieve.
Getting to this level isn’t the end for good leaders because good leaders know how essential it is to continually grow as leaders at every level and develop leaders who also develop leaders.
How Do Leaders Reach Level 5?
Maxwell says, “Leadership is about growth – for yourself, your relationships, your productivity, and your people. To lead well, you must embrace your need for continual improvement… “
For leaders to reach their full potential, they shouldn’t just encourage their teams to grow and develop; they should always be developing and growing to better serve their teams.
Wherever you are in your leadership journey, growth is key. Whether you are growing your influence, growing trust-based relationships with those you lead, or growing new leaders, continuous growth is the goal.
Developing an improvement mindset and establishing a healthy system of feedback can help leaders grow at any level.
Leaders who coach and mentor their employees toward growth are establishing an improvement mindset that benefits the entire organization. If you are new to leadership, finding a mentor who can guide you through the levels of leadership can help you avoid pitfalls and setbacks. This sort of expertise will be invaluable as you prepare for Level 4 leadership.
Constructive feedback is an important part of the growth and improvement process. Employees need feedback on a regular basis to excel in their jobs. It provides not only job clarity, but also helps employees course correct when needed and build confidence in their work.
But, to be most effective, it needs to be a two-way street, with leadership being open to feedback from employees so that they can also course correct and build confidence. This gives employees a voice and helps them to build trust with leadership, which increases a leader’s influence and ability to inspire their team members to do their best work.
Continually growing your level of emotional intelligence will also help you on your leadership journey.
A leader who not only knows themselves really well, but is also sensitive to the emotional needs of others and acts on the knowledge gained through self-awareness and social awareness by leading their teams with tact, diplomacy, and poise will find it much easier to build influence, forge strong bonds with team members, and progress to the next level.
What is the secret to reaching the leadership pinnacle? It’s no secret, and it is much easier than you think.
The best leaders care about their employees. They help them to thrive. And the best way to both grow as a leader and help your team to grow is to demonstrate care toward employees and invest in their success.
Great leaders grow their influence by supporting and serving employees and maintaining a supportive, inclusive work environment that is conducive to great work and inhospitable to toxic culture.

Matt Tenney has been working to help organizations develop leaders who improve employee engagement and performance since 2012. He is the author of three leadership books, including the groundbreaking, highly acclaimed book Inspire Greatness: How to Motivate Employees with a Simple, Repeatable, Scalable Process.
Matt’s ideas have been featured in major media outlets and his clients include numerous national associations and Fortune 500 companies.
He is often invited to deliver keynote speeches at conferences and leadership meetings, and is known for delivering valuable, actionable insights in a way that is memorable and deeply inspiring.